Everything there is to know about lab-grown diamonds and the answer to your question – are they the real deal?
When did we first begin to fall in love with diamonds?
If lab grown diamonds are real diamonds, what do people mean by “fake diamonds?”
How are lab grown diamonds created?
What are the benefits of lab grown versus naturally occurring diamonds?
Conclusion: Will we ever see lab grown and naturally occurring diamonds in the same way?
Many people want to know: Are lab-grown diamonds considered real diamonds? It makes sense to question the authenticity of lab grown diamonds. After all, how is a long-treasured and rare creation of nature now simply being developed by humans in a lab? It would seem like the value wouldn’t be the same.
Let’s take a closer look at lab grown diamonds and their significance in the history of diamonds.
When did our love affair with the diamond begin?

While there are textual references to diamonds from as far back as 3000 years ago, the first known example of diamonds being used in ornamentation or jewelry was in a Hungarian royal crown from the year 1074. From that point on it became more and more common to see royalty embrace the diamond as a prize possession and feature it on their jewelry.
As the popularity of diamonds grew, techniques developed to cut and shape them to enhance their beauty and sparkle. Diamond cutting began in the 15th Century in Paris, and the traditional faceted shapes and forms of diamonds that grace us to this day began to emerge.
Put a ring on it

-- Records of crystals, as found in the file --
┌──
DFT (meta-GGA r2SCAN) results for a relaxed SiH8 crystal.

a b c (Å): 5.580 5.580 7.633
angles (deg): 90.00 90.00 90.00
Space group I-4m2 (No. 119)
Asymmetric unit:
Si  0.000  0.000  0.000
H  0.000  0.000  0.451
H  0.000  0.217  0.888
H  0.000  0.500  0.201

---

DFT (meta-GGA r2SCAN) results for a relaxed SiH8 crystal.

a b c (Å): 5.538 5.552 7.595
angles (deg): 90.00 90.00 90.00
Space group Pmn2_1 (No. 31)
Asymmetric unit:
Si  0.000  0.248  0.000
H  0.000  0.029  0.112
H  0.000  0.230  0.542
H  0.000  0.287  0.454
H  0.000  0.465  0.113
H  0.000  0.707  0.703
H  0.000  0.759  0.793
H  0.218  0.248  0.887

---

| no. | DFT formation energy (meV per atom) |
| --- | --- |
| 1 | -3 |
| 2 | -3 |
└──
-- Back to the page --

Mary of Burgundy was the first documented recipient of a diamond engagement ring in the year 1477. This proposal sparked a diamond engagement ring trend throughout the aristocracy. Engagement rings progressed through various formal trends including floral forms and later filigree settings with other gemstones, but the diamond component remained constant.
De Beers famously launched the “A Diamond is Forever” marketing campaign in 1947, reigniting the obsession with diamonds and bringing the trend through to the modern era. Marylin Monroe gave a voice to diamonds when she sang “Diamonds are a Girl’s Best Friend” in the 1953 Hollywood hit Gentlemen Prefer Blondes.
Brands like Tiffany & Co. have made their fortunes through the popularization of the diamond engagement ring. The first “Tiffany Setting” diamond ring premiered in 1886 and featured a method of stone setting that has become the standard prong setting we are so familiar with to this day. It pulled the stone from the bezel setting that had been used primarily until then and elevated it in a prong setting that allowed more shimmer and sparkle. This setting method also highlights the size of a diamond as there is no bezel obscuring the stone.
“Synthetic Diamond” vs. “Lab Grown Diamond”

You may hear lab grown diamonds referred to as a synthetic diamond. This is a misleading term because there is no distinguishable difference between lab grown and natural diamonds. The term synthetic tends to imply that the quality is subpar or fake, which is not the case here.
Are there “Fake” diamonds?
Cubic zirconia (CZ) and synthetic moissanite, both diamond-like in appearance, are at times considered “fake diamonds.”
Cubic Zirconia: Cubic Zirconia is created in a lab with a mixture of high purity zirconium oxide powders and stabilized with magnesium and calcium to create a colorless (though color can be added,) high sparkle stone. Cubic Zirconia has actually been found in naturally occurring deposits but it is exceedingly rare to find naturally and essentially none of the cubic zirconia sold in stores is naturally formed. Cubic Zirconia takes several hours to several days to grow in a lab.
Moissanite: Another stone that is almost exclusively man made and rarely found in a naturally occurring state, Moissanite is more commonly referred to as a “fake diamond” or “diamond alternative”. While it’s true that the gemstone does naturally occur, it has only been discovered on meteorites and therefore cannot be reliably mined. Moissanite is made in a lab using Silicon carbide powder and a heating process to create the right conditions to form the crystals over a several-month period.
Cubic Zirconia is less expensive than Moissanite due to its quality (it scratches more easily and doesn’t last as long and takes less time to make) and Moissanite is cut and graded more similarly to Diamonds.
In the end, they both have largely different chemical and physical properties that are quite apparent to the trained eye, and therefore are easily distinguished by a trained gemologist. In comparison, lab grown diamonds are not nearly as simple to differentiate from naturally occurring diamonds.
The first lab grown diamonds

The first lab grown diamonds were created in the 1950’s. Most think of diamonds as the focal point of beautiful jewelry, but in fact there are a significant number of industrial applications for diamonds where the ability to mass produce proves extremely handy.
Scientists had been aware since the late 16th century that diamonds consisted of pure carbon. Since then, there have been several failed attempts to create a man-made diamond. It wasn’t till 1954 that scientists were able to use a high pressure belt press, heat, and graphite in a mixture of other metals to shift graphite into diamond.
Although these first diamonds weren’t suitable for jewelry, they were more than perfect for industrial uses. It wasn’t until the 1980s that scientists could offer their lab grown diamonds as competition for naturally grown diamonds.
How are lab grown diamonds made?

There are two primary methods for creating lab grown diamonds, the CVD (chemical vapor deposition) method, and the HPHT (high pressure, high temperature) method.
Chemical Vapor Deposition: The CVD method of diamond creation begins with a very tiny diamond of very high quality. The diamond is placed into a chamber within a vacuum plasma reactor which is filled with carbon-heavy gasses and heated until the point at which the carbon bonds break and the atoms fall onto the diamond plates. The carbon atoms which are emitted by this process build and layer in the form of a tetrahedral structure, creating a rough diamond.
High Pressure, High Temperature: The HPHT method of diamond creation replicates the extreme pressure and heat found deep within the earth and transforms highly refined graphite into liquid carbon. The cell containing this carbon is slowly cooled over a several day process that allows the carbon atoms to create that tetrahedral structure and form a diamond.
Interestingly, the HPHT method of diamond creation can also be used to brighten, color, and clarify naturally occurring diamonds. Manufacturers can even create highly desirable diamond colors such as pink, blue, and canary yellow using this method. Sometimes CVD diamonds are run through the HPHT process after their creation for this very reason.
Are there any notable differences between natural and lab grown diamonds?
Natural and lab grown diamonds maintain identical physical, structural, and optical qualities. This means that no, there is no notable difference between the diamonds made in a laboratory and in the earth besides how it came to be (and how long it took to create – billions of years versus a matter of weeks!)
It is not to say that there isn’t something special about a gem that has spent an unimaginable amount of time slowly forming in the ground. Part of what has always drawn the fascination of humans to diamonds is the glittering stone emerging from the ground. But the benefits of lab grown diamonds are rapidly becoming apparent to the consumer.
What are some of the benefits of lab grown diamonds?

Conflict Zones and Ethical Issues:
The diamond industry has been notorious for their poor labor and ethical standards. The industry can’t choose where diamonds happen to be found, they have initiated a collective oversight governance called the Kimberley Process to help eliminate conflict diamonds. Although it has been somewhat successful, there is still a notable problem of conflict diamonds being sold widely on the market.
Lab grown diamonds, on the other hand, are definitively conflict free as they need not be mined or created in areas of conflict. Unlike massive mining projects, essential resources aren’t disturbed and countless gallons of water are not wasted. The lab technicians who create the diamonds are safe in their workplaces; they are not subject to the dangerous working conditions of mining and moving earth.
Should there be any doubt, lab grown diamonds are easily traceable because of the controlled environments in which they are grown.
Lab Grown Quality:
Lab grown diamonds are shielded from natural elements and undesirable environmental changes and are therefore some of the highest quality diamonds available. A large majority of lab grown diamonds are rated at IIA, which is the purest form of diamond with no nitrogen or boron impurities. Only occurring in two percent of naturally occurring diamonds, it is safe to say that the quality of diamonds crafted in a lab is far superior overall to their counterparts mined from the earth.
Lab-grown diamonds can change the industry

Are Diamonds Really Forever?
It’s hard to argue that diamonds have fallen out of style or that women from all over the world do not covet a beautiful, sparkly diamond of their own. However, many other options have emerged, and the one moment that has belonged to the diamond for generations – engagement – is beginning to welcome some alternatives as well.
It is far more common in recent years to see newly engaged women showing off rings with colorful stones, nontraditional settings, or forgoing rings altogether.
Millennials and subsequently Gen Z have famously turned away from diamonds for engagement rings. Although there are many factors at play, the ethical and environmental considerations of diamond mining are among some of the primary reasons for newer generations choosing diamond alternatives.
A more affordable option.
It is certainly possible that access to and education about lab-grown diamonds change the future of the diamond industry.
Additionally, lower prices of lab grown diamonds mean an entire new demographic of people can afford to buy diamonds. Many fiancés-to-be are happy to learn that lab grown diamonds give far more value for the money than natural diamonds. For the same price as a one carat natural diamond, you can purchase a 1.5 – 2 carat lab grown diamond, and create a much more substantial piece of jewelry.

Diamonds created in a lab have minimal, almost indistinguishable differences from naturally occurring or “mined” diamonds. Diamond companies have been working to perfect the art of diamond creation and remove the stigma of a lab grown diamond. We have always seen gemstones as something of a treasure from the depths of the earth; the rarer the find the more it is treasured.
Despite their significant improvements to the ethical and environmental impacts of diamonds, it remains to be seen whether the general population can be convinced that lab grown stones are as precious as mined.
A simple rebranding to “cultured diamonds,” “artisan made diamonds,” or even “cultivated diamonds” could present a more appealing option to those who find themselves interested in the concept but turned off by the idea of the precious gemstones in their jewelry being created in a laboratory. After all, it was the branding of diamonds as such a precious commodity that made them such an object of desire in the first place.